Brendon has been feeling strange lately. Sunday afternoon he was saying that his throat hurt so we looked in his mouth and saw lots of white stuff in the back of his throat. We called the doctor's office on Monday, described the symptoms and they figured that he had thrush. They called in a prescription and he started taking it right away. One of our home health nurses came to draw Brendon's labs again on Monday night. She looked at his throat and said it was definitely thrush. Thrush is a relatively common side effect of some of his medicine. Tuesday morning we received a phone call from a nurse at the clinic asking how Bren was feeling. She said that his sodium levels were still down and he might start acting loopy. He has been very shaky and more tired than usual. He had his appointment for his chemo and checkup yesterday afternoon. His sodium has been low for a couple of weeks now and putting him on a fluid restriction isn't making it go back up. When Brendon's doctor (Dr. Rossi) gave him his checkup before the chemo she noticed how shaky he was. She had his labs drawn again to check his calcium and magnesium levels. She also decided to refer Bren to a pediatric kidney specialist. Brendon has an appointment on 10/9 with them. Dr. Rossi said that Brendon had low sodium levels before he started chemo so he may need to be on a medicine to regulate it, but it should go back to normal once he's done all of his chemo. The labs came back fine for his blood, calcium and magnesium levels. He did not go to school today.
(Crystal structures from another source follow)
'''
! BaSm2S4 (r²SCAN, relaxed); values from VASP
! Magnetic moment ... 0.00 Bohr magnetons per cell
! Total DFT energy (no corrections) ... -0.70883 Ha/atom
! SG ... Pnma, No. 62
&SYSTEM
  ibrav = 0, nat = 28, ntyp = 3
/
ATOMIC_SPECIES
Ba 137.33 Ba.upf
Sm 150.36 Sm.upf
S 32.06 S.upf
CELL_PARAMETERS angstrom
12.376 0.000 0.000
0.000 4.144 0.000
0.000 0.000 14.790
ATOMIC_POSITIONS crystal
Ba 0.246 0.250 0.159
Ba 0.254 0.750 0.659
Ba 0.746 0.250 0.341
Ba 0.754 0.750 0.841
Sm 0.075 0.250 0.392
Sm 0.076 0.250 0.896
Sm 0.424 0.750 0.396
Sm 0.425 0.750 0.892
Sm 0.575 0.250 0.108
Sm 0.576 0.250 0.604
Sm 0.924 0.750 0.104
Sm 0.925 0.750 0.608
S 0.017 0.750 0.782
S 0.078 0.250 0.579
S 0.129 0.750 0.021
S 0.211 0.750 0.330
S 0.289 0.250 0.830
S 0.371 0.250 0.521
S 0.422 0.750 0.079
S 0.483 0.250 0.282
S 0.517 0.750 0.718
S 0.578 0.250 0.921
S 0.629 0.750 0.479
S 0.711 0.750 0.170
S 0.789 0.250 0.670
S 0.871 0.250 0.979
S 0.922 0.750 0.421
S 0.983 0.250 0.218

***

! SiO2 (r²SCAN, relaxed); values from VASP
! Magnetic moment ... 0.00 Bohr magnetons per cell
! Total DFT energy (no corrections) ... -0.36462 Ha/atom
! SG ... Ia-3d, No. 230
&SYSTEM
  ibrav = 0, nat = 72, ntyp = 2
/
ATOMIC_SPECIES
Si 28.09 Si.upf
O 16.00 O.upf
CELL_PARAMETERS angstrom
-6.766 6.766 6.766
6.766 -6.766 6.766
6.766 6.766 -6.766
ATOMIC_POSITIONS crystal
Si 0.036 0.073 0.786
Si 0.036 0.464 0.250
Si 0.073 0.786 0.036
Si 0.214 0.750 0.286
Si 0.214 0.964 0.927
Si 0.250 0.036 0.464
Si 0.250 0.714 0.786
Si 0.286 0.214 0.750
Si 0.286 0.573 0.536
Si 0.427 0.464 0.714
Si 0.464 0.250 0.036
Si 0.464 0.714 0.427
Si 0.536 0.286 0.573
Si 0.536 0.750 0.964
Si 0.573 0.536 0.286
Si 0.714 0.427 0.464
Si 0.714 0.786 0.250
Si 0.750 0.286 0.214
Si 0.750 0.964 0.536
Si 0.786 0.036 0.073
Si 0.786 0.250 0.714
Si 0.927 0.214 0.964
Si 0.964 0.536 0.750
Si 0.964 0.927 0.214
O 0.026 0.172 0.912
O 0.026 0.354 0.114
O 0.088 0.614 0.260
O 0.088 0.974 0.828
O 0.114 0.026 0.354
O 0.114 0.588 0.760
O 0.146 0.172 0.760
O 0.146 0.474 0.386
O 0.172 0.760 0.146
O 0.172 0.912 0.026
O 0.240 0.854 0.828
O 0.240 0.886 0.412
O 0.260 0.088 0.614
O 0.260 0.672 0.646
O 0.328 0.354 0.740
O 0.328 0.474 0.588
O 0.354 0.114 0.026
O 0.354 0.740 0.328
O 0.386 0.146 0.474
O 0.386 0.740 0.912
O 0.412 0.240 0.886
O 0.412 0.672 0.526
O 0.474 0.386 0.146
O 0.474 0.588 0.328
O 0.526 0.412 0.672
O 0.526 0.614 0.854
O 0.588 0.328 0.474
O 0.588 0.760 0.114
O 0.614 0.260 0.088
O 0.614 0.854 0.526
O 0.646 0.260 0.672
O 0.646 0.886 0.974
O 0.672 0.526 0.412
O 0.672 0.646 0.260
O 0.740 0.328 0.354
O 0.740 0.912 0.386
O 0.760 0.114 0.588
O 0.760 0.146 0.172
O 0.828 0.088 0.974
O 0.828 0.240 0.854
O 0.854 0.526 0.614
O 0.854 0.828 0.240
O 0.886 0.412 0.240
O 0.886 0.974 0.646
O 0.912 0.026 0.172
O 0.912 0.386 0.740
O 0.974 0.646 0.886
O 0.974 0.828 0.088

***

! Ba3P4O13 (r²SCAN, relaxed); values from VASP
! Magnetic moment ... 0.00 Bohr magnetons per cell
! Total DFT energy (no corrections) ... -0.46119 Ha/atom
! SG ... P-1, No. 2
&SYSTEM
'''
(The crystal structures stop here)
His mouth hurts, he hasn't been sleeping much, he's losing his appetite and his legs hurt. He looks fine, but we can tell he doesn't feel good. He wants to go to school, but we'd rather him stay home and rest when he's feeling this way...He actually slept at the clinic yesterday while he was getting his chemo for almost an hour. He hardly ever sleeps while getting his medicine. He has started to wean off the steroids and should be completely off them on 10/10/07.

Last night The Children's Museum of Maine presented an exhibit called Project Tomorrow. Brendon and 8 other kids from the Maine Children's Cancer Program participated in this project. The kids were asked to pick a subject to photograph who they felt would be or has been important in your life. Brendon chose to photograph his father. The Children's Museum have the photos on display along with some questions that the kids answered about their subjects. The subject was also asked to explain what being selected meant to them. It was a lot of fun and the pictures came out great! The photos are displayed on the walls of the stairways going to the second floor. They will remain on display until 11/4/07. If you go to the Project Tomorrow website you can see the photos that were on display. They all did a great job! Here are some pictures of the night....